Source >
- - -
{
  "formula": "C29H35Cl2N2O3Pt",
  "method": "ωB97M-V/def2-TZVPD",
  "elements": ["Pt", "Cl", "Cl", "O", "O", "O", "N", "N", "C", "C", "C", "C", "C", "C", "C", "C", "C", "C", "C", "C", "C", "C", "C", "C", "C", "C", "C", "C", "C", "C", "C", "C", "C", "C", "C", "C", "C", "H", "H", "H", "H", "H", "H", "H", "H", "H", "H", "H", "H", "H", "H", "H", "H", "H", "H", "H", "H", "H", "H", "H", "H", "H", "H", "H", "H", "H", "H", "H", "H", "H", "H", "H"],
  "positions_angstrom": [[-0.228, 0.824, -0.276], [2.062, 3.228, -1.249], [3.200, 3.744, 1.366], [0.170, 0.182, -2.191], [1.655, 0.300, 0.336], [3.732, 0.949, 0.780], [-0.876, 1.125, 1.632], [-1.945, 1.828, -0.636], [0.276, -1.132, -2.468], [2.118, 2.680, 0.443], [1.558, -1.734, -2.544], [-1.169, -1.800, 1.624], [-3.657, 3.066, 0.201], [-2.594, 2.212, 0.519], [-0.643, -1.011, 2.799], [0.326, 2.543, 3.900], [-2.254, -0.262, -4.040], [2.860, 0.484, -2.854], [-3.621, 3.218, -1.182], [-2.025, 1.731, 1.712], [-0.441, 0.378, 2.783], [-3.091, -1.304, -1.828], [-0.844, -1.962, -2.805], [2.903, -1.008, -2.546], [2.572, 1.191, 0.527], [0.078, 1.049, 3.894], [3.718, -1.301, -1.283], [-0.051, -2.570, 0.916], [-0.329, -1.706, 3.961], [1.689, 2.922, 4.480], [-2.251, -1.466, -3.095], [-0.672, -3.333, -2.958], [0.571, -3.936, -2.866], [0.155, -1.056, 5.082], [1.665, -3.114, -2.708], [0.355, 0.311, 5.043], [-2.547, 2.445, -1.652], [-4.284, 3.811, -1.791], [1.784, 2.609, 5.520], [-3.222, -2.280, -1.353], [2.662, -3.543, -2.733], [-2.214, 2.305, -2.666], [-2.523, 1.823, 2.674], [2.494, 2.459, 3.912], [-1.546, -3.936, -3.182], [0.685, -5.007, -2.981], [-1.608, 0.528, -3.666], [1.117, 2.813, 0.837], [-4.342, 3.521, 0.899], [-1.918, -2.506, 1.994], [-0.489, -2.779, 3.979], [-1.675, -1.148, 0.913], [3.212, -0.932, -0.394], [1.832, 4.003, 4.442], [-0.460, 3.037, 4.482], [0.735, -1.894, 0.581], [-4.080, -0.896, -2.057], [-0.433, -3.100, 0.042], [2.372, 1.043, -2.064], [-2.616, -0.648, -1.114], [0.401, -3.297, 1.595], [2.305, 0.681, -3.774], [0.239, 2.932, 2.886], [4.693, -0.810, -1.338], [-1.869, -0.566, -5.016], [-2.728, -2.280, -3.652], [3.880, 0.861, -2.970], [0.733, 0.820, 5.920], [0.375, -1.613, 5.985], [-3.268, 0.122, -4.178], [3.446, -1.474, -3.379], [3.882, -2.375, -1.168]],
  "gap_ev": 7.3,
  "max_force_ha_per_bohr": 0.010,
  "charge": -1,
  "de_lowest_ev": 0.1012
}

---

{
  "formula": "C9H24F3NO7",
  "method": "ωB97M-V/def2-TZVPD",
  "elements": ["F", "F", "F", "O", "O", "O", "O", "O", "O", "O", "N", "C", "C", "C", "C", "C", "C", "C", "C", "C", "H", "H", "H", "H", "H", "H", "H", "H", "H", "H", "H", "H", "H", "H", "H", "H", "H", "H", "H", "H", "H", "H", "H", "H"],
  "positions_angstrom": [[-1.451, 0.581, -1.550], [0.396, -0.680, -1.148], [-1.189, -0.341, 0.520], [4.969, -0.253, -3.822], [-1.516, -2.744, 2.292], [1.449, 1.331, 0.569], [4.233, 3.204, -0.343], [-6.224, -2.015, 2.597], [-4.439, -0.356, -0.065], [4.138, 1.144, -1.474], [5.883, 1.442, 0.030], [2.159, 2.541, 0.883], [0.263, 1.584, -0.186], [2.786, 3.310, -0.372], [4.668, 1.910, -0.650], [4.829, -1.583, -4.297], [-2.536, -3.721, 2.144], [-4.669, 0.889, -0.710], [-0.509, 0.225, -0.560], [-5.223, -1.790, 3.579], [3.042, 2.255, 1.559], [6.475, 0.982, -0.672], [1.539, 3.278, 1.514], [2.494, 4.410, -0.262], [0.498, 2.064, -1.204], [5.617, 0.775, 0.763], [5.690, -1.826, -4.921], [-2.159, -4.561, 1.556], [-4.243, 1.699, -0.111], [-1.277, -2.449, 1.406], [4.790, -2.276, -3.452], [2.428, 2.947, -1.384], [-5.743, 1.040, -0.809], [3.916, -1.670, -4.892], [-3.483, -0.466, 0.011], [4.196, -0.063, -3.273], [-3.401, -3.274, 1.647], [-0.444, 2.330, 0.329], [-2.830, -4.076, 3.132], [-6.001, -1.468, 1.833], [-5.447, -2.396, 4.457], [-4.248, -2.078, 3.180], [-4.212, 0.880, -1.703], [-5.215, -0.734, 3.861]],
  "gap_ev": 10.3,
  "max_force_ha_per_bohr": 0.070,
  "charge": 0
}

---

{
  "formula": "C8H22N3Si",
  "method": "ωB97M-V/def2-TZVPD",
- - -
Wanted >
Quote all of the notes earlier on verbatim.
Here it is >
{
  "formula": "C29H35Cl2N2O3Pt",
  "method": "ωB97M-V/def2-TZVPD",
  "elements": ["Pt", "Cl", "Cl", "O", "O", "O", "N", "N", "C", "C", "C", "C", "C", "C", "C", "C", "C", "C", "C", "C", "C", "C", "C", "C", "C", "C", "C", "C", "C", "C", "C", "C", "C", "C", "C", "C", "C", "H", "H", "H", "H", "H", "H", "H", "H", "H", "H", "H", "H", "H", "H", "H", "H", "H", "H", "H", "H", "H", "H", "H", "H", "H", "H", "H", "H", "H", "H", "H", "H", "H", "H", "H"],
  "positions_angstrom": [[-0.228, 0.824, -0.276], [2.062, 3.228, -1.249], [3.200, 3.744, 1.366], [0.170, 0.182, -2.191], [1.655, 0.300, 0.336], [3.732, 0.949, 0.780], [-0.876, 1.125, 1.632], [-1.945, 1.828, -0.636], [0.276, -1.132, -2.468], [2.118, 2.680, 0.443], [1.558, -1.734, -2.544], [-1.169, -1.800, 1.624], [-3.657, 3.066, 0.201], [-2.594, 2.212, 0.519], [-0.643, -1.011, 2.799], [0.326, 2.543, 3.900], [-2.254, -0.262, -4.040], [2.860, 0.484, -2.854], [-3.621, 3.218, -1.182], [-2.025, 1.731, 1.712], [-0.441, 0.378, 2.783], [-3.091, -1.304, -1.828], [-0.844, -1.962, -2.805], [2.903, -1.008, -2.546], [2.572, 1.191, 0.527], [0.078, 1.049, 3.894], [3.718, -1.301, -1.283], [-0.051, -2.570, 0.916], [-0.329, -1.706, 3.961], [1.689, 2.922, 4.480], [-2.251, -1.466, -3.095], [-0.672, -3.333, -2.958], [0.571, -3.936, -2.866], [0.155, -1.056, 5.082], [1.665, -3.114, -2.708], [0.355, 0.311, 5.043], [-2.547, 2.445, -1.652], [-4.284, 3.811, -1.791], [1.784, 2.609, 5.520], [-3.222, -2.280, -1.353], [2.662, -3.543, -2.733], [-2.214, 2.305, -2.666], [-2.523, 1.823, 2.674], [2.494, 2.459, 3.912], [-1.546, -3.936, -3.182], [0.685, -5.007, -2.981], [-1.608, 0.528, -3.666], [1.117, 2.813, 0.837], [-4.342, 3.521, 0.899], [-1.918, -2.506, 1.994], [-0.489, -2.779, 3.979], [-1.675, -1.148, 0.913], [3.212, -0.932, -0.394], [1.832, 4.003, 4.442], [-0.460, 3.037, 4.482], [0.735, -1.894, 0.581], [-4.080, -0.896, -2.057], [-0.433, -3.100, 0.042], [2.372, 1.043, -2.064], [-2.616, -0.648, -1.114], [0.401, -3.297, 1.595], [2.305, 0.681, -3.774], [0.239, 2.932, 2.886], [4.693, -0.810, -1.338], [-1.869, -0.566, -5.016], [-2.728, -2.280, -3.652], [3.880, 0.861, -2.970], [0.733, 0.820, 5.920], [0.375, -1.613, 5.985], [-3.268, 0.122, -4.178], [3.446, -1.474, -3.379], [3.882, -2.375, -1.168]],
  "gap_ev": 7.3,
  "max_force_ha_per_bohr": 0.010,
  "charge": -1,
  "de_lowest_ev": 0.1012
}

---

{
  "formula": "C9H24F3NO7",
  "method": "ωB97M-V/def2-TZVPD",
  "elements": ["F", "F", "F", "O", "O", "O", "O", "O", "O", "O", "N", "C", "C", "C", "C", "C", "C", "C", "C", "C", "H", "H", "H", "H", "H", "H", "H", "H", "H", "H", "H", "H", "H", "H", "H", "H", "H", "H", "H", "H", "H", "H", "H", "H"],
  "positions_angstrom": [[-1.451, 0.581, -1.550], [0.396, -0.680, -1.148], [-1.189, -0.341, 0.520], [4.969, -0.253, -3.822], [-1.516, -2.744, 2.292], [1.449, 1.331, 0.569], [4.233, 3.204, -0.343], [-6.224, -2.015, 2.597], [-4.439, -0.356, -0.065], [4.138, 1.144, -1.474], [5.883, 1.442, 0.030], [2.159, 2.541, 0.883], [0.263, 1.584, -0.186], [2.786, 3.310, -0.372], [4.668, 1.910, -0.650], [4.829, -1.583, -4.297], [-2.536, -3.721, 2.144], [-4.669, 0.889, -0.710], [-0.509, 0.225, -0.560], [-5.223, -1.790, 3.579], [3.042, 2.255, 1.559], [6.475, 0.982, -0.672], [1.539, 3.278, 1.514], [2.494, 4.410, -0.262], [0.498, 2.064, -1.204], [5.617, 0.775, 0.763], [5.690, -1.826, -4.921], [-2.159, -4.561, 1.556], [-4.243, 1.699, -0.111], [-1.277, -2.449, 1.406], [4.790, -2.276, -3.452], [2.428, 2.947, -1.384], [-5.743, 1.040, -0.809], [3.916, -1.670, -4.892], [-3.483, -0.466, 0.011], [4.196, -0.063, -3.273], [-3.401, -3.274, 1.647], [-0.444, 2.330, 0.329], [-2.830, -4.076, 3.132], [-6.001, -1.468, 1.833], [-5.447, -2.396, 4.457], [-4.248, -2.078, 3.180], [-4.212, 0.880, -1.703], [-5.215, -0.734, 3.861]],
  "gap_ev": 10.3,
  "max_force_ha_per_bohr": 0.070,
  "charge": 0
}

---

{
  "formula": "C8H22N3Si",
  "method": "ωB97M-V/def2-TZVPD",